Activity:
The reader should search the rows further below for the word "Properties" and restate each line that has it.

Given:
=====
Version a
10
Properties=species:S:1:pos:R:3 method="wB97M-V/def2-TZVPD" total_charge=0 lumo_energy_ha=0.017 smiles=Clc1nccs1.[H][H] gap_ev=9.5
Cl 2.4737 -1.1109 0.0308
C 1.0526 -0.1934 -0.0664
N 0.1582 -0.4306 -1.0018
C -0.7301 0.5462 -1.0600
C -0.5889 1.5980 -0.0967
S 0.7975 1.2534 0.8686
H -1.5140 0.3480 -1.6421
H -1.2614 2.4725 -0.0368
H -0.5259 -2.3165 1.5027
H 0.1384 -2.1665 1.5015

Version b
10
Properties=species:S:1:pos:R:3 method="wB97M-V/def2-TZVPD" total_charge=0 lumo_energy_ha=0.017 gap_ev=8.9
C 1.3342 0.2358 0.8049
C 0.2566 -0.1057 0.0717
C -1.2334 -0.2694 0.2792
N 0.8182 -0.2782 -1.1912
S 2.4220 0.1121 -0.5975
Cl -2.1889 0.3557 -1.0272
H 1.3847 0.7943 1.7328
H -1.7840 0.5553 1.4146
H -1.4918 -1.3817 0.6533
H 0.4825 -0.0181 -2.1405

Version c
10
Properties=species:S:1:pos:R:3 method="wB97M-V/def2-TZVPD" total_charge=0 lumo_energy_ha="-0.015 / -0.015" gap_ev="8.2 / 8.2"
C -0.4109 -0.7747 -0.5624
C -0.7498 0.5319 2.4508
C 0.8958 0.2049 -2.3810
N 0.3909 -0.4326 -1.4015
S 0.8098 1.0452 2.3753
Cl -0.3036 -2.2646 0.3975
H -1.0016 -0.5831 2.5149
H -1.6066 1.1634 2.2030
H 1.4604 1.0338 -2.2139
H 0.5156 0.0759 -3.3827

Which of them is least stable? Easy: version c.

Version a
15
Properties=species:S:1:pos:R:3 method="wB97M-V/def2-TZVPD" total_charge=0 lumo_energy_ha=0.029 smiles=N[C@]12C[C@@]1(O)O[C@@H]2O gap_ev=9.4
N 0.3949 -1.6688 -0.6786
C 0.1307 -0.5203 0.0968
C -1.0376 -0.2986 1.0635
C -0.9117 0.6339 -0.0864
O -1.8971 0.7841 -1.0048
O 0.0041 1.6674 0.1189
C 1.1304 0.5736 0.3395
O 2.1123 0.6617 -0.5899
H -0.3883 -1.9089 -1.2746
H 0.6462 -2.4691 -0.1093
H -0.8540 0.0708 2.0646
H -1.8310 -1.0266 0.9760
H -1.5248 1.2400 -1.7723
H 1.4787 0.7410 1.3675
H 2.5474 1.5198 -0.5110

Version b
15
Properties=species:S:1:pos:R:3 method="wB97M-V/def2-TZVPD" total_charge=0 lumo_energy_ha=0.001 gap_ev=9.8
C -0.3203 0.2285 -0.2060
C -1.3913 1.1801 0.3196
N 0.8119 0.2704 0.6828
C -0.9047 -1.1728 -0.3886
C 1.9609 -0.2462 0.5989
O 0.0229 -2.1399 -0.2979
O -2.0473 -1.3997 -0.6841
O 2.7273 -0.8358 1.2638
H -0.4077 -3.0018 -0.4162
H 1.9477 1.3080 -0.1836
H 0.0138 0.5414 -1.2111
H 2.5410 1.0293 -0.8259
H -0.9897 2.1896 0.3878
H -2.2488 1.1864 -0.3495
H -1.7158 0.8624 1.3100

Version c
15
Properties=species:S:1:pos:R:3 method="wB97M-V/def2-TZVPD" total_charge=0 lumo_energy_ha=0.027 smiles="C[C@@H](NC=O)C(=O)O" gap_ev=10.8
C 1.1578 -0.3407 -1.1168
C 0.4155 -0.5201 0.1847
N 0.6152 0.6291 1.0834
C -0.3781 1.5538 1.3180
O -1.4777 1.4561 0.8369
C -1.0832 -0.8429 0.0081
O -1.7068 -1.4943 0.7956
O -1.5467 -0.5193 -1.2165
H 0.6549 0.3088 -1.8163
H 1.2822 -1.3322 -1.5601
H 2.1886 -0.0024 -1.0274
H 0.7971 -1.4036 0.6969
H 1.5878 0.9158 1.1517
H -0.0427 2.3663 1.9702
H -2.4637 -0.7743 -1.3082

Version d
15
Properties=species:S:1:pos:R:3 method="wB97M-V/def2-TZVPD" total_charge=0 lumo_energy_ha=0.009 smiles="C=C(CO)C(=O)NO" gap_ev=9.7
C 0.4943 -1.3999 0.8234
C 0.1978 -0.4037 -0.1650
C -0.7984 -0.7772 -1.2617
O -0.5600 -0.1714 -2.5736
C 0.4655 1.0541 -0.0755
O 0.2884 1.7383 -1.0754
N 0.4815 1.6047 1.1392
O 0.1104 0.7729 2.0489
H 1.0573 -1.3812 1.7433
H 0.1362 -2.4031 0.3250
H -0.4226 -2.0580 -1.2404
H -1.9698 -0.6339 -0.7806
H -0.8975 0.8407 -2.6011
H 0.3480 2.5868 1.1419
H 1.0688 0.6312 2.5515

Which of them is least stable? Easy: version d.

Version a
15
Properties=species:S:1:pos:R:3 method="wB97M-V/def2-TZVPD" total_charge=0 lumo_energy_ha=0.029 gap_ev=9.4
C -1.5413 -0.7701 0.4422
O -0.3611 -0.9526 -0.2637
C 0.7747 -0.6299 0.4663
N 0.7756 0.2735 1.4100
O -0.1768 0.7339 2.0339
O 2.1347 0.6154 1.9039
H -2.0341 0.1747 0.3887
H -1.4221 -0.8789 1.5659
H -2.3319 -1.4029 0.0887
H 1.7050 -1.0828 0.1672
H 2.0564 0.8850 2.8217
C 1.2956 0.9902 -2.2779
C 0.2375 1.3725 -1.8275
H 2.0505 0.6827 -3.0232
H -0.6406 1.4747 -1.3132

Version b
15
Properties=species:S:1:pos:R:3 method="wB97M-V/def2-TZVPD" total_charge=0 lumo_energy_ha=0.028 smiles="CON1C[C@H](O)C1=O" gap_ev=10.2
C 2.8160 -0.1882 0.2225
O 1.6913 -0.1151 -0.6288
N 0.5351 -0.1548 -0.0544
=====

Result:
Properties=species:S:1:pos:R:3 method="wB97M-V/def2-TZVPD" total_charge=0 lumo_energy_ha=0.017 smiles=Clc1nccs1.[H][H] gap_ev=9.5
Properties=species:S:1:pos:R:3 method="wB97M-V/def2-TZVPD" total_charge=0 lumo_energy_ha=0.017 gap_ev=8.9
Properties=species:S:1:pos:R:3 method="wB97M-V/def2-TZVPD" total_charge=0 lumo_energy_ha="-0.015 / -0.015" gap_ev="8.2 / 8.2"
Properties=species:S:1:pos:R:3 method="wB97M-V/def2-TZVPD" total_charge=0 lumo_energy_ha=0.029 smiles=N[C@]12C[C@@]1(O)O[C@@H]2O gap_ev=9.4
Properties=species:S:1:pos:R:3 method="wB97M-V/def2-TZVPD" total_charge=0 lumo_energy_ha=0.001 gap_ev=9.8
Properties=species:S:1:pos:R:3 method="wB97M-V/def2-TZVPD" total_charge=0 lumo_energy_ha=0.027 smiles="C[C@@H](NC=O)C(=O)O" gap_ev=10.8
Properties=species:S:1:pos:R:3 method="wB97M-V/def2-TZVPD" total_charge=0 lumo_energy_ha=0.009 smiles="C=C(CO)C(=O)NO" gap_ev=9.7
Properties=species:S:1:pos:R:3 method="wB97M-V/def2-TZVPD" total_charge=0 lumo_energy_ha=0.029 gap_ev=9.4
Properties=species:S:1:pos:R:3 method="wB97M-V/def2-TZVPD" total_charge=0 lumo_energy_ha=0.028 smiles="CON1C[C@H](O)C1=O" gap_ev=10.2